Request:
Retype the rows below from the first line to the one with "1.400 -2.343" exactly, please.

Entries:
~~~
(1)
88
Properties=species:S:1:pos:R:3:lowdin_charge:R:1 method="wB97M-V/def2-TZVPD" charge=+4 energy_ev=-61746.4158 homo_ev="-18.530 / -18.530" relative_energy_kj_mol=0.0
Pd 0.625 -0.305 -0.728 0.7793
C 1.716 2.643 1.594 -0.0400
C 0.774 2.152 2.649 -0.2650
C 0.406 3.036 3.660 -0.0189
C -0.392 2.635 4.720 -0.0015
C -0.837 1.326 4.810 -0.0168
C -0.502 0.425 3.814 -0.0690
C 0.300 0.823 2.728 -0.2933
P 0.850 -0.473 1.636 1.1309
C 0.110 -2.064 2.009 -0.3253
C 0.946 -3.136 2.342 -0.0688
C 0.411 -4.368 2.681 -0.0308
C -0.964 -4.536 2.675 -0.0080
C -1.795 -3.483 2.319 -0.0031
C -1.291 -2.229 1.988 -0.2829
C -2.265 -1.133 1.645 -0.0427
C 2.649 -0.638 1.742 -0.2914
C 3.295 -0.790 2.945 -0.0102
C 4.639 -1.214 2.940 0.0498
C 5.301 -1.531 1.761 0.0165
C 4.663 -1.359 0.544 0.0561
C 3.353 -0.833 0.524 -0.2831
C 2.805 -0.279 -0.645 0.0123
H 1.487 3.676 1.332 0.0972
H 1.652 2.067 0.675 0.0131
H 2.747 2.630 1.954 0.1115
H 0.766 4.057 3.629 0.1366
H -0.656 3.347 5.491 0.1367
H -1.429 1.009 5.657 0.1332
H -0.820 -0.604 3.898 0.1063
H 2.020 -3.011 2.362 0.1040
H 1.063 -5.183 2.964 0.1296
H -1.395 -5.489 2.954 0.1346
H -2.868 -3.631 2.323 0.1375
H -3.203 -1.561 1.291 0.0999
H -1.892 -0.446 0.877 0.0414
H -2.511 -0.522 2.512 0.0899
H 2.789 -0.642 3.891 0.1422
H 5.154 -1.323 3.887 0.1456
H 6.322 -1.887 1.798 0.1426
H 5.185 -1.539 -0.387 0.1423
H 3.283 -0.490 -1.597 0.1008
H 2.363 0.740 -0.571 0.0689
N -0.096 -0.517 -5.910 0.0770
C 1.167 -1.114 -5.355 -0.0682
C 1.019 -1.357 -3.856 -0.1728
N 0.641 -0.146 -3.100 -0.1017
C -0.602 0.421 -3.675 -0.1749
C -0.484 0.730 -5.161 -0.0685
H -0.858 -1.201 -5.867 0.1960
H 0.026 -0.304 -6.906 0.2031
H 1.962 -0.401 -5.579 0.1508
H 1.369 -2.038 -5.894 0.1554
H 1.967 -1.749 -3.483 0.1296
H 0.262 -2.121 -3.665 0.1205
H 1.378 0.551 -3.207 0.1269
H -0.873 1.326 -3.137 0.1043
H -1.404 -0.303 -3.507 0.1266
H 0.296 1.463 -5.370 0.1503
H -1.423 1.093 -5.577 0.1554
N -4.783 -3.055 -1.735 0.2390
C -3.660 -3.223 -1.572 -0.1501
C -2.248 -3.356 -1.375 -0.1739
C -1.602 -4.593 -1.344 0.0642
C -0.230 -4.613 -1.138 0.0167
C 0.446 -3.419 -0.963 -0.1005
N -0.180 -2.236 -0.998 -0.0526
C -1.500 -2.200 -1.196 -0.1087
H -2.166 -5.507 -1.477 0.1533
H 0.314 -5.547 -1.106 0.1392
H 1.514 -3.400 -0.785 0.1276
H -1.980 -1.229 -1.222 0.1195
N -0.525 1.572 -0.661 0.1052
C -0.865 2.657 -0.382 -0.2325
N -1.270 3.827 -0.053 -0.0404
C -2.039 4.053 1.204 -0.0662
C -3.359 4.732 0.851 -0.1636
O -3.119 5.899 0.107 -0.0877
C -2.530 5.623 -1.138 -0.1669
C -1.144 5.016 -0.941 -0.0590
H -1.428 4.699 1.838 0.1369
H -2.185 3.090 1.694 0.1309
H -3.870 5.032 1.765 0.1494
H -4.011 4.045 0.296 0.1393
H -2.441 6.571 -1.669 0.1496
H -3.170 4.952 -1.725 0.1369
H -0.479 5.719 -0.437 0.1442
H -0.691 4.699 -1.880 0.1322

(2)
85
Properties=species:S:1:pos:R:3:lowdin_charge:R:1 method="wB97M-V/def2-TZVPD" energy_ev=-55587.4698 homo_ev=-6.313
C 4.023 -1.652 2.899 -0.0499
C 3.965 -0.827 1.647 -0.4894
C 4.239 0.592 1.763 -0.1228
C 4.305 1.365 0.499 -0.1872
C 5.351 2.481 0.560 -0.1794
C 5.306 3.230 1.870 -0.1638
O 5.420 2.341 3.022 -0.0102
C 5.024 1.040 2.936 -0.4503
O 5.347 0.294 3.859 0.0208
O 3.649 -1.333 0.551 -0.0381
H 3.530 -1.165 3.749 0.0529
H 3.533 -2.608 2.684 0.0842
H 5.059 -1.800 3.196 0.0918
H 4.610 0.666 -0.298 0.1132
H 3.333 1.788 0.181 0.0993
H 6.337 2.014 0.424 0.1251
H 5.201 3.198 -0.253 0.1102
H 6.161 3.910 1.974 0.1195
H 4.372 3.796 1.988 0.1206
C -0.673 -1.816 -5.445 -0.1474
Si -2.209 -1.248 -4.573 0.4136
C -3.389 -0.355 -5.701 -0.1555
C -3.103 -2.650 -3.720 -0.1392
O -1.715 -0.105 -3.453 -0.1630
C -1.605 -0.079 -2.041 -0.3382
C -3.013 0.073 -1.409 -0.1447
C -4.074 0.596 -2.157 -0.0469
C -5.360 0.658 -1.608 -0.0638
C -5.562 0.287 -0.277 -0.0826
C -4.487 -0.144 0.504 -0.0621
C -3.210 -0.241 -0.062 -0.0583
C -0.769 -1.280 -1.582 -0.1678
C -1.316 -2.368 -0.900 -0.0555
C -0.476 -3.398 -0.460 -0.0612
C 0.879 -3.383 -0.782 -0.0658
C 1.400 -2.343 -1.555 -0.0618
C 0.562 -1.324 -2.002 -0.0573
C -0.813 1.236 -1.726 -0.1626
C -1.564 2.506 -2.166 -0.0992
~~~

Here it is:
(1)
88
Properties=species:S:1:pos:R:3:lowdin_charge:R:1 method="wB97M-V/def2-TZVPD" charge=+4 energy_ev=-61746.4158 homo_ev="-18.530 / -18.530" relative_energy_kj_mol=0.0
Pd 0.625 -0.305 -0.728 0.7793
C 1.716 2.643 1.594 -0.0400
C 0.774 2.152 2.649 -0.2650
C 0.406 3.036 3.660 -0.0189
C -0.392 2.635 4.720 -0.0015
C -0.837 1.326 4.810 -0.0168
C -0.502 0.425 3.814 -0.0690
C 0.300 0.823 2.728 -0.2933
P 0.850 -0.473 1.636 1.1309
C 0.110 -2.064 2.009 -0.3253
C 0.946 -3.136 2.342 -0.0688
C 0.411 -4.368 2.681 -0.0308
C -0.964 -4.536 2.675 -0.0080
C -1.795 -3.483 2.319 -0.0031
C -1.291 -2.229 1.988 -0.2829
C -2.265 -1.133 1.645 -0.0427
C 2.649 -0.638 1.742 -0.2914
C 3.295 -0.790 2.945 -0.0102
C 4.639 -1.214 2.940 0.0498
C 5.301 -1.531 1.761 0.0165
C 4.663 -1.359 0.544 0.0561
C 3.353 -0.833 0.524 -0.2831
C 2.805 -0.279 -0.645 0.0123
H 1.487 3.676 1.332 0.0972
H 1.652 2.067 0.675 0.0131
H 2.747 2.630 1.954 0.1115
H 0.766 4.057 3.629 0.1366
H -0.656 3.347 5.491 0.1367
H -1.429 1.009 5.657 0.1332
H -0.820 -0.604 3.898 0.1063
H 2.020 -3.011 2.362 0.1040
H 1.063 -5.183 2.964 0.1296
H -1.395 -5.489 2.954 0.1346
H -2.868 -3.631 2.323 0.1375
H -3.203 -1.561 1.291 0.0999
H -1.892 -0.446 0.877 0.0414
H -2.511 -0.522 2.512 0.0899
H 2.789 -0.642 3.891 0.1422
H 5.154 -1.323 3.887 0.1456
H 6.322 -1.887 1.798 0.1426
H 5.185 -1.539 -0.387 0.1423
H 3.283 -0.490 -1.597 0.1008
H 2.363 0.740 -0.571 0.0689
N -0.096 -0.517 -5.910 0.0770
C 1.167 -1.114 -5.355 -0.0682
C 1.019 -1.357 -3.856 -0.1728
N 0.641 -0.146 -3.100 -0.1017
C -0.602 0.421 -3.675 -0.1749
C -0.484 0.730 -5.161 -0.0685
H -0.858 -1.201 -5.867 0.1960
H 0.026 -0.304 -6.906 0.2031
H 1.962 -0.401 -5.579 0.1508
H 1.369 -2.038 -5.894 0.1554
H 1.967 -1.749 -3.483 0.1296
H 0.262 -2.121 -3.665 0.1205
H 1.378 0.551 -3.207 0.1269
H -0.873 1.326 -3.137 0.1043
H -1.404 -0.303 -3.507 0.1266
H 0.296 1.463 -5.370 0.1503
H -1.423 1.093 -5.577 0.1554
N -4.783 -3.055 -1.735 0.2390
C -3.660 -3.223 -1.572 -0.1501
C -2.248 -3.356 -1.375 -0.1739
C -1.602 -4.593 -1.344 0.0642
C -0.230 -4.613 -1.138 0.0167
C 0.446 -3.419 -0.963 -0.1005
N -0.180 -2.236 -0.998 -0.0526
C -1.500 -2.200 -1.196 -0.1087
H -2.166 -5.507 -1.477 0.1533
H 0.314 -5.547 -1.106 0.1392
H 1.514 -3.400 -0.785 0.1276
H -1.980 -1.229 -1.222 0.1195
N -0.525 1.572 -0.661 0.1052
C -0.865 2.657 -0.382 -0.2325
N -1.270 3.827 -0.053 -0.0404
C -2.039 4.053 1.204 -0.0662
C -3.359 4.732 0.851 -0.1636
O -3.119 5.899 0.107 -0.0877
C -2.530 5.623 -1.138 -0.1669
C -1.144 5.016 -0.941 -0.0590
H -1.428 4.699 1.838 0.1369
H -2.185 3.090 1.694 0.1309
H -3.870 5.032 1.765 0.1494
H -4.011 4.045 0.296 0.1393
H -2.441 6.571 -1.669 0.1496
H -3.170 4.952 -1.725 0.1369
H -0.479 5.719 -0.437 0.1442
H -0.691 4.699 -1.880 0.1322

(2)
85
Properties=species:S:1:pos:R:3:lowdin_charge:R:1 method="wB97M-V/def2-TZVPD" energy_ev=-55587.4698 homo_ev=-6.313
C 4.023 -1.652 2.899 -0.0499
C 3.965 -0.827 1.647 -0.4894
C 4.239 0.592 1.763 -0.1228
C 4.305 1.365 0.499 -0.1872
C 5.351 2.481 0.560 -0.1794
C 5.306 3.230 1.870 -0.1638
O 5.420 2.341 3.022 -0.0102
C 5.024 1.040 2.936 -0.4503
O 5.347 0.294 3.859 0.0208
O 3.649 -1.333 0.551 -0.0381
H 3.530 -1.165 3.749 0.0529
H 3.533 -2.608 2.684 0.0842
H 5.059 -1.800 3.196 0.0918
H 4.610 0.666 -0.298 0.1132
H 3.333 1.788 0.181 0.0993
H 6.337 2.014 0.424 0.1251
H 5.201 3.198 -0.253 0.1102
H 6.161 3.910 1.974 0.1195
H 4.372 3.796 1.988 0.1206
C -0.673 -1.816 -5.445 -0.1474
Si -2.209 -1.248 -4.573 0.4136
C -3.389 -0.355 -5.701 -0.1555
C -3.103 -2.650 -3.720 -0.1392
O -1.715 -0.105 -3.453 -0.1630
C -1.605 -0.079 -2.041 -0.3382
C -3.013 0.073 -1.409 -0.1447
C -4.074 0.596 -2.157 -0.0469
C -5.360 0.658 -1.608 -0.0638
C -5.562 0.287 -0.277 -0.0826
C -4.487 -0.144 0.504 -0.0621
C -3.210 -0.241 -0.062 -0.0583
C -0.769 -1.280 -1.582 -0.1678
C -1.316 -2.368 -0.900 -0.0555
C -0.476 -3.398 -0.460 -0.0612
C 0.879 -3.383 -0.782 -0.0658
C 1.400 -2.343 -1.555 -0.0618